It's always worked for me
Where should I put theFraglib? I have it under Crysis/game/Shaders/HWScripts/CryFX/ but that's wrong I guess. Just under the rootdir?
Hey Neb, with regards to that Crysis 'downsampling' tweak (which works great, thanks), is there any way to force a refresh rate IN Crysis? It's just that I game at 100hz at 1280x1024 (so I set 2560x2048 ingame), and it forces Crysis into 60hz. But I couldn't even run that higher resolution at 60hz anyway so I don't get the point of it doing that (especially when I downsample from something like 5120x4096)... I was having a play last night but couldn't see any options ingame to set a refresh rate.
-- Calculated molecules from another source follow --
One molecule with the formula C3H6BClO2 in a non-equilibrium geometry, computed with wB97M-V/def2-TZVPD.

The geometry in XYZ format:
```
13
Properties=species:S:1:pos:R:3:forces:R:3
B 0.7190 0.9912 -0.0787 -0.458 -0.512 0.021
C 0.6906 -1.5988 -0.5304 -2.533 4.878 2.606
C 0.0407 -0.4274 0.0579 2.479 -4.223 -2.414
C -1.3109 -0.6037 0.6524 0.003 -0.117 0.093
O 2.0526 1.0455 -0.2871 0.614 -0.288 -0.039
O 0.0258 2.1567 -0.0125 -0.064 0.476 0.121
Cl -2.5401 0.2794 -0.3366 -0.232 0.073 -0.027
H 0.2185 -2.5583 -0.4782 -0.163 -0.400 -0.079
H 1.6604 -1.4769 -0.9610 0.405 -0.065 -0.226
H -1.6320 -1.6454 0.6673 0.060 0.133 0.066
H -1.3802 -0.1722 1.6509 -0.050 -0.079 -0.034
H 2.3859 1.9382 -0.3856 0.015 0.234 -0.045
H -0.9302 2.0717 0.0417 -0.077 -0.108 -0.041
```
Positions in Å, forces in eV/Å.

For the LUMO energy, the calculation gives 0.48 eV. For the energy relative to the best compared isomer or geometry (same formula, charge and spin), the calculation gives 0.0 kcal per mole. The calculation puts the frontier orbital gap at 10.16 eV. Its SMILES is C=C(CCl)B(O)O. The value obtained for the HOMO energy is -9.7 eV. The calculation puts the total energy at -20504.335 eV.

----------

Entry 1:
ORCA calculation (the ωB97M-V functional and the def2-TZVPD basis) on a structure of composition C38H37IrN8O4P2.

Output
**Frontier orbital gap (alpha / beta)**: 6.49 / 6.74 eV
**<S²>**: 0.76
**HOMO (alpha / beta)**: -15.13 / -16.01 eV
**2S+1**: 2
**F_max**: 0.3 eV/A
**Total charge**: +3

```
90
C38H37IrN8O4P2 the ωB97M-V functional and the def2-TZVPD basis
Ir 0.349 -0.624 -0.844
C 4.687 -3.585 -2.350
N 3.913 -2.407 -1.945
C 4.434 -1.167 -1.708
C 3.395 -0.361 -1.347
N 2.253 -1.106 -1.375
C 2.583 -2.346 -1.738
P 1.425 -3.746 -1.864
C 0.648 -3.472 -0.233
N 0.203 -2.284 0.187
C -0.253 -2.417 1.469
C -0.085 -3.718 1.827
N 0.482 -4.360 0.761
C 0.864 -5.776 0.742
C 0.109 -2.877 -2.779
N -0.291 -1.634 -2.503
C -1.227 -1.284 -3.438
C -1.385 -2.335 -4.292
N -0.541 -3.321 -3.872
C -0.413 -4.645 -4.490
H 5.706 -3.269 -2.551
H 4.694 -4.322 -1.551
H 4.267 -4.015 -3.256
H 5.485 -0.963 -1.810
H 3.394 0.683 -1.080
H -0.657 -1.592 2.029
H -0.321 -4.231 2.743
H 0.218 -6.316 1.427
H 0.733 -6.179 -0.258
H 1.900 -5.886 1.056
H -1.712 -0.323 -3.447
H -2.026 -2.458 -5.148
H -1.158 -4.726 -5.275
H 0.577 -4.764 -4.923
H -0.598 -5.419 -3.749
O 2.253 -1.017 1.634
C 1.823 0.115 1.610
O 1.028 0.584 0.660
C 2.147 1.096 2.699
C 2.990 0.653 3.708
C 3.334 1.487 4.765
C 2.831 2.776 4.827
C 1.991 3.240 3.825
C 1.656 2.412 2.752
P 0.685 3.142 1.445
C -0.327 4.460 2.066
C -0.120 5.800 1.716
C -0.917 6.780 2.280
C -1.919 6.434 3.179
C -2.130 5.103 3.527
C -1.341 4.115 2.972
C 1.647 3.626 0.039
C 2.999 3.276 -0.053
C 3.733 3.667 -1.159
C 3.124 4.389 -2.181
C 1.776 4.721 -2.103
C 1.033 4.337 -1.000
H 3.367 -0.358 3.656
H 3.992 1.125 5.543
H 3.092 3.427 5.650
H 1.604 4.249 3.875
H 0.676 6.077 1.037
H -0.749 7.819 2.028
H -2.536 7.207 3.618
H -2.905 4.844 4.235
H -1.497 3.078 3.248
H 3.480 2.738 0.756
Kinda makes playing with those settings a bit pointless, as a few minutes at 60hz becomes quite straining on the eyes...
Hey Neb, with regards to that Crysis 'downsampling' tweak (which works great, thanks), is there any way to force a refresh rate IN Crysis? It's just that I game at 100hz at 1280x1024 (so I set 2560x2048 ingame), and it forces Crysis into 60hz. But I couldn't even run that higher resolution at 60hz anyway so I don't get the point of it doing that (especially when I downsample from something like 5120x4096)... I was having a play last night but couldn't see any options ingame to set a refresh rate.
Kinda makes playing with those settings a bit pointless, as a few minutes at 60hz becomes quite straining on the eyes...
If you're on ATI you can use Ati tool tray to enforce refreshrate.
Otherwise, on Nvidia, if you google it up there is a fix that forces specific refreshrate at each resolution. It's ONLY for nvidia though, doesn't work for ATI. I used it before when I had the gtx285, it works very well.
All this is DX9 only, I don't think there is any way to force refreshrate in DX10, so if the game, in DX10, does not have a way of setting refreshrate, you're out of luck.
Haven't seen any command yet to force refresh rates. I'll try to find a solution.![]()
He means he got 100Hz ingame until he changes width and height for SSAA making the game revert to 60Hz despite being on the same 100Hz supporting res. This is most likely a thing to do with the CE2.
You need to use ATI Edge detect to make it look pretty but for that you need crossfire![]()
I have single 4890 and can select 'edge detect' for better AA.
Well actually I can run 'edge detect' 12xAA in Crysis Wars v.h and hover above or around 30fps. Crysis and Warhead gets about minus 5fps or more so that is a bit to much to keep 30fps.![]()
I play Crysis games at 1440x900 so that explains why it is runs better!![]()